Company Reports
What should I invest in?
Invest in a good company with excellent long term prospects and whose share price is undervalued...
And what does that actually mean?
Well, a long term prospect would be a 'non-bubble' — i.e. something that has a continuing steady growth potential. These are the best investment opportunities for the small investor — he can simply buy and hold, ignoring market turbulence. But it is a lot harder to identify these companies than you would think. Undervalued, simply means cheap by whatever definition of cheap you find meaningful; in truth it is an arbitrary and meaningless phrase. Identifying a company that you would want to invest in needs some consideration of how businesses start and grow.
The dynamics of business competition tends to follow a pattern; the initial discovery or invention, followed by the creation of a new market, the initial innovators expand quickly, fast growth follows, and profits rise; the profitability of the sector leads other competitors to enter it and competition grows. Because of this competition, prices fall, as do profit margins; the market reaches saturation, with some of the competitors dropping out, and winners emerging, tending to either form a monopoly if there is only one, or a cartel if more than one; once this happens, prices will be hiked and the consumer bled white. At this — quite natural endpoint — government action is necessary, and may intervene in order to artificially create competition (if they have not been persuaded otherwise by the companies lobbyists).
If you can identify the future winners in this cycle of development, then you have found an investment opportunity. The two main players of interest would be the initial innovators who will make a lot of profit in their early growth phase, and of course, the eventual winners. But again, identifying these is not easy, and so what is an attractive share price is highly questionable; even if one can reliably identify a future growth area, e.g. genetic medicine will become huge in the coming decades — predicting who will succeed with it is very difficult. Consider the change in the number of computer manufacturers between today and 1975 — many of these '1975 firms' have gone bust or been taken over, despite (sometimes) having good/superior technology and decent management.
StockWave, of course, pushes a certain agenda; and we are upfront about it — the private investor should trade actively, using sophisticated strategies, doing his own analysis, on his own behalf, and keeping well-clear of fund managers, stock-pickers, and all the various gurus. Having accepted this argument to a large extent, the user may wish to only go half-way, i.e. to try and do DIY trading, but only using a long-term buy and hold strategy, with very little active trading, as it seems so much safer and easier. We believe this is a fallacy — while it is easier, it is by no means safer, and the returns are unlikely to be spectacular. We are not against this strategy per se, but simply point out that choosing the 'right company' to use with this strategy is not any easier than opting for the active-sophisticated approach. If you can spot the next Microsoft, then by all means, pile in with your cash. Good luck!
What is a 'good' company?
Check the numbers — do they add up? Check the bottom line!
And where do I find the numbers? Where is the bottom line?
Difficult to say really.
The usual answer is in the Company Report — this is its purpose at least; the company puts together a report so that its shareholders and potential investors can see what it is doing and how well it is being run, and thus evaluate its prospects as an investment in an accurate manner, from a thorough analysis of its cash-flow and so on, its so-called 'fundamentals'. Truthful and accurate company reports should, in theory, be the principal tool for the investment scenario of section one, alas, recent events have made these claims somewhat laughable, and there are those who would claim that this has always been so.
The harsh truth about Company Reports
Company reports are full of lies.
Sometimes it is a small piece of spin-doctoring, at other times it will be a black enormous falsehood — but reports are full of them.
Consider the ideal simplicity of company reporting — take the money you got from what you sold — subtract from it what it cost to make your product, and this is your profit. Now pay tax on this at the going rate, and what is left is your net profit. Shareholders buy stock to have a share in this profit, and the share price should reflect the ability of a company to make profits — simple really. Good companies make money, bad companies lose it. Ultimately, the value of a share in a company has to be related to the ability of the company to make this profit. (The slippery word in this sentence is the word ultimately, but it would take too long to discuss.)
This is simple arithmetic an 8-year-old could do, and a fact so obvious it is never stated — so why does an entire profession exist to calculate these numbers? Why does it take 7 years to become an accountant? The only conclusion one can make is that company accounts and reports are designed to hide the truth rather than reveal it. So what can the ordinary investor do against this Priesthood with its arcane and confusing language and rituals? Is there any point in even reading a report? Perhaps. Despite the obscurantist nature of the company report, there are fairly strict rules which govern what can be presented as fact. Obvious blatant lies are illegal, of course, and even within the rules a company still has great scope for presenting itself as being well-run, efficient, profitable, visionary, etc. We must assume that any company of any size has the resources to employ 'good' accountants and has stretched the rules to their very limit to present themselves positively. Once one realises this one can try to correct for the spin which is present.
Entry 1:
For Tm5Rh2Au2, a cell relaxed with PBE gives the computed X-ray powder pattern in this record (a wavelength of 1.5418 Å).

Cell and atoms:
```
Tm5Rh2Au2
1.0
7.5510 -3.6690 0.0000
7.5510 3.6690 0.0000
0.0000 0.0000 7.4668
Tm Rh Au
10 4 4
direct
0.0000 0.0000 0.0000
0.0400 0.7002 0.6698
0.2002 0.5400 0.1698
0.2998 0.9600 0.6698
0.4600 0.7998 0.1698
0.5000 0.5000 0.5000
0.5400 0.2002 0.8302
0.7002 0.0400 0.3302
0.7998 0.4600 0.8302
0.9600 0.2998 0.3302
0.1335 0.8665 0.3657
0.3665 0.6335 0.8657
0.6335 0.3665 0.1343
0.8665 0.1335 0.6343
0.2073 0.2073 0.0000
0.2927 0.2927 0.5000
0.7073 0.7073 0.5000
0.7927 0.7927 0.0000
```

The 10 most intense peaks (15° ≤ 2θ ≤ 90°), by angle:
2θ 27.07, I 22; 2θ 32.25, I 58; 2θ 33.76, I 42; 2θ 34.07, I 41; 2θ 34.27, I 100; 2θ 36.20, I 61; 2θ 38.66, I 45; 2θ 39.21, I 43; 2θ 40.33, I 22; 2θ 61.38, I 25

=====

Entry 2:
For Rb2ThReN4, a cell relaxed with PBE gives the computed X-ray powder pattern in this record (a wavelength of 1.5418 Å).

Cell and atoms:
```
Rb2ThReN4
1.0
7.4043 0.0000 0.0000
0.0000 7.9704 0.0000
0.0000 0.0000 6.2758
Rb Th Re N
4 2 2 8
direct
0.2436 0.1496 0.0000
0.2564 0.8504 0.5000
0.7436 0.8504 0.5000
0.7564 0.1496 0.0000
0.0000 0.6373 0.9774
0.5000 0.3627 0.4774
0.0000 0.3687 0.4741
0.5000 0.6313 0.9741
0.0000 0.4068 0.1857
0.0000 0.5697 0.6198
0.2097 0.2506 0.5342
0.2903 0.7494 0.0342
0.5000 0.4303 0.1198
0.5000 0.5932 0.6857
0.7097 0.7494 0.0342
0.7903 0.2506 0.5342
```

The 10 most intense peaks (15° ≤ 2θ ≤ 90°), by angle:
2θ 17.99, I 19; 2θ 26.51, I 100; 2θ 28.44, I 31; 2θ 30.19, I 53; 2θ 36.07, I 11; 2θ 39.30, I 19; 2θ 41.85, I 16; 2θ 49.20, I 21; 2θ 51.42, I 30; 2θ 56.76, I 16

=====

Entry 3:
For Rb2UTaS6, a cell relaxed with PBE gives the computed X-ray powder pattern in this record (a wavelength of 1.5418 Å).

Cell and atoms:
```
Rb2UTaS6
1.0
3.6297 2.0956 11.8650
-3.6297 2.0956 11.8650
0.0000 -4.1913 11.8650
Rb U Ta S
4 2 2 12
direct
0.1279 0.1279 0.1279
0.2891 0.2891 0.2891
0.7109 0.7109 0.7109
0.8721 0.8721 0.8721
0.4127 0.4127 0.4127
0.5873 0.5873 0.5873
0.0000 0.0000 0.0000
0.5000 0.5000 0.5000
0.1427 0.6161 0.6161
0.1996 0.1996 0.7197
0.1996 0.7197 0.1996
0.2803 0.8004 0.8004
0.3839 0.3839 0.8573
0.3839 0.8573 0.3839
0.6161 0.1427 0.6161
0.6161 0.6161 0.1427
0.7197 0.1996 0.1996
0.8004 0.2803 0.8004
0.8004 0.8004 0.2803
0.8573 0.3839 0.3839
```

The 10 most intense peaks (15° ≤ 2θ ≤ 90°), by angle:
2θ 22.49, I 34; 2θ 24.52, I 100; 2θ 28.83, I 33; 2θ 33.52, I 41; 2θ 38.20, I 45; 2θ 39.22, I 18; 2θ 43.17, I 25; 2θ 45.91, I 30; 2θ 50.27, I 30; 2θ 68.35, I 21

=====

Entry 4:
For Ta2Ti6Bi, a cell relaxed with PBE gives the computed X-ray powder pattern in this record (a wavelength of 1.5418 Å).

Cell and atoms:
```
Ta2Ti6Bi
1.0
7.0904 -5.3850 0.0000
7.0904 5.3850 0.0000
0.0000 0.0000 4.6727
Ta Ti Bi
4 12 2
direct
0.1450 0.2805 0.2500
0.2805 0.1450 0.7500
0.7195 0.8550 0.2500
0.8550 0.7195 0.7500
0.0513 0.7300 0.2500
0.1157 0.4788 0.7500
0.2700 0.9487 0.2500
0.3365 0.4663 0.2500
Lets look at a specific example to watch out for — exceptional items.
Exceptional items are, well, exceptional. one-offs, highly unusual, special events. Presenting something as an exceptional item is meant to say that it is not something which would normally happen. Consider the case where a company has made a small loss — 'bad' we say, but the loss was due to an exceptional item. We could then say, this is a 'good company', and really, it makes a strong underlying profit.
The trouble with this is that certain companies have a habit of reporting large exceptional items year in, year out, making them rather, er, un-exceptional. 'Extraordinary items' is another similar kind of thing, coming from US accounting practice.
The point is that we can get something useful from the report, if we read it in a certain way, always aware of the usual tactics, and looking for that which is anomalous — in the report, watch for negative and positive language; the tense involved, blatant fluff, obscure and meaningless phrases, management-bullshit-corporate-speak, lack of discussion of certain things, hype-ing of other things. Overall, the individual numbers will mean nothing, only taken together do they have meaning. A good forensic accountant will be able to smell a company report and know intuitively what is really going on. We don't have the experience or training, but with sufficient exposure, one will develop this intuition. Trust your hunches, and do some detective work — look for evidence which corroborates what they are saying. Once you grasp this simple fact, things should fall into place for you.
Of course, there are those who may point out that there are an enormous amount of rules regarding proper accounting, and in particular, US style quarterly reporting with simultaneous release of information to the market, seems much fairer to the private investor, but the more rules, the more possible loopholes there can be. A particularly shady practice is Programme Accounting, the use of which makes the accounts almost meaningless — what this allows you to do is to book all future expected profits upfront, and book costs incurred as depreciation over a period of years. This, have-your-cake-eat-it-now-pay-later idea, can be used to massively inflate profits. A number of large US companies use this.
In general we expect everything in the company's own report will be presented in the best possible light — any bad news will only be reported in the financial and general press; the 'books are cooked', whether lightly simmered, or flame-roasted, but they are cooked.
What this means is that starting from the report we have to do some detective work to assemble our jigsaw of information.
So what are these, pieces of the jigsaw, these pieces of information?
- The company report, i.e. what it is that they say about themselves
Now add in what other people say about them — this must corroborate what is in the report, and if it doesn't then we know something is wrong.
- News stories
- Layoffs and expansions
- Court cases, especially in the fantastically litigious USA
- New products
- Management changes
- Industrial disputes
- Share dealings, especially directors
- Borrowings
- Investments
- Spend on plant, R & D
- Governments grants, loans, subsidies, tax breaks, write-offs
- The status of their competitors
- Unreported stuff — but present in newsgroups, bulletin boards (but always accepted with some skepticism)
- Potential risk exposure, e.g. derivatives, lawsuits, investments
And for each piece of information one must also ask
- Where did it come from? When did it originate? Is this reputable? Could the story be planted?
- Who said it? What are their motives? Is it malicious scare-mongering or honest journalism?
When you gather all these pieces together, and arrange them just-so, a strange thing can happen; suddenly, 'it all becomes obvious'. The important thing is to ask the right questions and to keep asking them, and to get answers from as many sources as possible, until you get to this point of insight.
Post Enron, WorldCOM, Andersen, Parmalat...
The above was written before the Enron, WorldCom, Marconi, Andersen affairs.
### Between two parts of the text: calculated crystals
********
Tl3AsBr6: computed X-ray powder pattern (a wavelength of 1.5418 Å), based on a crystal structure in Alexandria, relaxed with PBE.

Atomic structure:
```
data_Tl3AsBr6
_chemical_formula_sum 'Tl6 As2 Br12'
_symmetry_space_group_name_H-M 'P 1 21/c 1'
_symmetry_Int_Tables_number 14
_symmetry_space_group_name_Hall '-P 2ybc'
_cell_length_a 7.6246
_cell_length_b 8.3994
_cell_length_c 13.4379
_cell_angle_alpha 90.00
_cell_angle_beta 123.33
_cell_angle_gamma 90.00
loop_
_atom_site_label
_atom_site_type_symbol
_atom_site_fract_x
_atom_site_fract_y
_atom_site_fract_z
Tl1 Tl 0.0000 0.0000 0.0000
Tl2 Tl 0.2117 0.0813 0.7463
As1 As 0.5000 0.0000 0.5000
Br1 Br 0.1626 0.1676 0.4521
Br2 Br 0.2748 0.7282 0.4337
Br3 Br 0.3953 0.0448 0.2760
```

The 10 most intense peaks (2θ = 15–90°), low angle first:
(1 1 1), 2θ = 22.16°, I = 90; (1 1 -3), 2θ = 22.53°, I = 100; (2 1 -3), 2θ = 27.04°, I = 59; (1 1 -4), 2θ = 28.85°, I = 51; (2 2 -2), 2θ = 31.70°, I = 61; (0 0 4), 2θ = 31.88°, I = 57; (1 3 0), 2θ = 34.98°, I = 68; (3 1 -1), 2θ = 40.10°, I = 51; (2 0 -6), 2θ = 40.29°, I = 34; (3 1 -5), 2θ = 40.73°, I = 34

***

PmHf2ScN4: computed X-ray powder pattern (a wavelength of 1.5418 Å), based on a crystal structure in Alexandria, relaxed with PBE.

Atomic structure:
```
data_PmHf2ScN4
_chemical_formula_sum 'Pm4 Hf8 Sc4 N16'
_symmetry_space_group_name_H-M 'I m m a'
_symmetry_Int_Tables_number 74
_symmetry_space_group_name_Hall '-I 2b 2'
_cell_length_a 6.5719
_cell_length_b 6.6524
_cell_length_c 9.3539
_cell_angle_alpha 90.00
_cell_angle_beta 90.00
_cell_angle_gamma 90.00
loop_
_atom_site_label
_atom_site_type_symbol
_atom_site_fract_x
_atom_site_fract_y
_atom_site_fract_z
Pm1 Pm 0.2500 0.2500 0.2500
Hf1 Hf 0.0000 0.0000 0.0000
Hf2 Hf 0.2500 0.2500 0.7500
Sc1 Sc 0.0000 0.0000 0.5000
N1 N 0.0000 0.0241 0.7541
N2 N 0.2434 0.2500 0.9884
```

The 10 most intense peaks (2θ = 15–90°), low angle first:
(1 0 1), 2θ = 16.48°, I = 26; (1 2 1), 2θ = 31.63°, I = 11; (0 2 2), 2θ = 33.05°, I = 68; (2 0 2), 2θ = 33.32°, I = 67; (2 2 0), 2θ = 38.51°, I = 100; (0 4 0), 2θ = 55.23°, I = 11; (2 2 4), 2θ = 55.59°, I = 44; (2 4 2), 2θ = 66.06°, I = 20; (4 2 2), 2θ = 66.55°, I = 19; (0 4 4), 2θ = 69.34°, I = 11

***

Dy7Tm3Th: computed X-ray powder pattern (a wavelength of 1.5418 Å), based on a crystal structure in Alexandria, relaxed with PBE.

Atomic structure:
```
data_Dy7Tm3Th
_chemical_formula_sum 'Dy28 Tm12 Th4'
_symmetry_space_group_name_H-M 'C m c m'
_symmetry_Int_Tables_number 63
_symmetry_space_group_name_Hall '-C 2c 2'
_cell_length_a 16.8396
_cell_length_b 10.6561
_cell_length_c 8.0716
_cell_angle_alpha 90.00
_cell_angle_beta 90.00
_cell_angle_gamma 90.00
loop_
_atom_site_label
_atom_site_type_symbol
_atom_site_fract_x
_atom_site_fract_y
_atom_site_fract_z
Dy1 Dy 0.0000 0.2498 0.2500
Dy2 Dy 0.1455 0.2471 0.5562
Dy3 Dy 0.1630 0.4570 0.2500
Tm1 Tm 0.0000 0.5000 0.0000
Tm2 Tm 0.1637 0.0489 0.2500
Th1 Th 0.0000 0.0000 0.0000
```

The 10 most intense peaks (2θ = 15–90°), low angle first:
********
At the time, the views expressed would have been regarded by most commentators as controversial, not to say 'cynical', and many who would broadly agree with the sentiment would nevertheless have felt that the forthrightness of its expression was unjustified. Alas, given recent events, my comments seem quite tame in hindsight — that, broadly speaking, corporate figures are massaged and spun, but that blatant corruption is only occasional and infrequent.
It was Joseph Goebbels, the infamous Nazi propagandist who developed the notion of the Big Lie — i.e. that the more outrageously untrue something was, the more likely it was to be believed; now apply this to your companies accounts, do not bother with the cheap tax dodge, the paltry massaging of a few hundred thousand in the right direction, the spurious expenses claim, the business item that was used for personal use; instead why not simply eliminate all costs from your balance sheet — don't bother with a measly 850K scam, go for the 850 million!
Alas, it seems that accountancy and auditing malpractice is systemic, at least within the US; and I would believe also the UK and the rest of Europe is unlikely to be significantly better placed. It is likely a lot more large companies will find themselves in trouble as it becomes their turn to face the spotlight. Currently, there is much talk of reforms and new laws, but little practical efforts — it looks like a couple of high profile scapegoats will be turned out for public consumption, then back to business as usual.